Summer "Fixes" Wrap: SCOTUS May Be Out of Town, But We're Not
Though the summer did not yield a flurry of filings as expected, there was some news related to our “fixes”:
'''
Below is an optimized crystal structure of NbHgSe3, with properties calculated at the PBE level.

It has space group P-1 (No. 2), with a = 6.708 Å, b = 6.758 Å, c = 7.391 Å, α = 62.82°, β = 79.31° and γ = 61.09°. The inequivalent atoms are Nb at (0.133, 0.148, 0.486), Hg at (0.494, 0.681, 0.133), Se at (0.099, 0.019, 0.229), Se at (0.140, 0.395, 0.697) and Se at (0.492, 0.221, 0.278).

Its energy above the lowest structure with this stoichiometry is 0.00 eV per formula unit. The value obtained for the uncorrected formation energy is -10.9 kcal/mol of atoms. The calculated total energy is -4.64 eV per atom. Its crystal system is triclinic. The calculation puts the volume at 260.7 Å³ per cell. As for the total magnetization: 0.00 μB/f.u.

---

Below is an optimized crystal structure of NbHgSe3, with properties calculated at the PBE level.

It has space group P-1 (No. 2), with a = 3.371 Å, b = 8.422 Å, c = 9.984 Å, α = 108.49°, β = 90.00° and γ = 101.51°. The inequivalent atoms are Nb at (0.250, 0.001, 0.293), Hg at (0.000, 0.497, 0.324), Se at (0.172, 0.844, 0.496), Se at (0.173, 0.844, 0.827) and Se at (0.372, 0.246, 0.824).

Its energy above the lowest structure with this stoichiometry is 0.02 eV per formula unit. The value obtained for the uncorrected formation energy is -10.8 kcal/mol of atoms. The calculated total energy is -4.63 eV per atom. Its crystal system is triclinic. The calculation puts the volume at 262.8 Å³ per cell. As for the total magnetization: 0.00 μB/f.u.

---

Below is an optimized crystal structure of NbHgSe2, with properties calculated at the PBE level.

It has space group I4/mcm (No. 140), with a = 6.862 Å, b = 6.862 Å, c = 6.879 Å, α = 90.00°, β = 90.00° and γ = 90.00°. The inequivalent atoms are Nb at (0.000, 0.000, 0.250), Hg at (0.000, 0.500, 0.250) and Se at (0.230, 0.270, 0.000).

The value obtained for the uncorrected formation energy is 4.3 kcal/mol of atoms. The calculated total energy is -4.15 eV per atom. Its crystal system is tetragonal. The calculation puts the volume at 323.9 Å³ per cell. As for the total magnetization: 1.17 μB/f.u.

---

Below is an optimized crystal structure of Nb6HgSe12, with properties calculated at the PBE level.

It has space group R-3m (No. 166, hexagonal axes), with a = 12.5514 Å, b = 12.5514 Å, c = 9.7302 Å, α = 90.00°, β = 90.00° and γ = 120.00°. The inequivalent atoms are Nb at (0.0727, 0.5364, 0.2845), Hg at (0.0000, 0.0000, 0.0000), Se at (0.0000, 0.3752, 0.5000) and Se at (0.0932, 0.1865, 0.3565).

The value obtained for the uncorrected formation energy is -9.3 kcal/mol of atoms. The calculated total energy is -5.80 eV per atom. Its crystal system is trigonal. The calculation puts the volume at 1327.5 Å³ per cell. As for the total magnetization: 4.73 μB/f.u.

---

Below is an optimized crystal structure of NbHgSe2, with properties calculated at the PBE level.
'''
On June 12, Chief Justice Beverley McLachlin of Canada announced her retirement from the CSC, effective December 15 – or nine months before she reaches the mandatory retirement age of 75. (Justice Kennedy turned 81 on July 23, and Justice Breyer turned 79 on August 15.)
On July 19, Sens. Ron Johnson and Claire McCaskill introduced a bill to permanently extend the authority of the Judicial Conference to redact sensitive information from judicial officers’ financial disclosures. Under current law, that authority expires on December 31. The CBO on August 16 wrote, “Implementing [the bill] would have no significant effect on the federal budget.” The House version is scheduled for markup this Thursday.
On August 14, the Committee on Judicial Conduct and Disability of the Judicial Conference of the U.S. reprimanded Judge John Adams of the Northern District of Ohio and ordered him to “submit to a mental health evaluation for a series of actions the panel found problematic.” Only in the last few years have such orders from JCUS committees been released to the public, and of course, Supreme Court justices aren’t subject to the same disciplinary rubric.
On August 17, it was announced that Justice Gorsuch would give a talk at Trump Hotel in D.C. on September 28. FTC’s response: “As much as this offense is a mark against the integrity of Justice Gorsuch – remember, he told the country during his confirmation hearings he’d follow the letter and spirit of all judicial ethics protocols – it’s also an embarrassment for Chief Justice Roberts, who has the authority – and the responsibility – to discourage his colleagues from participating in the types of events that tarnish his institution’s reputation.”
On August 24, Sen. Jeff Flake held a Senate Judiciary Subcommittee hearing in Phoenix on whether to split up the Ninth Circuit, on which FTC has no position.
**Crystal structures, kept here for reference**
+++
Compound: MgTaSi2
Source: Alexandria via LeMat-Bulk
Functional: PBE-GGA
Structure: optimized geometry

```
MgTaSi2
1.0
2.905 0.004 0.000
-0.620 2.838 0.000
0.000 0.000 8.052
Mg Si Ta
1 2 1
Cartesian
1.142 1.421 6.039 Mg
0.000 0.000 0.100 Si
0.000 0.000 3.926 Si
1.142 1.421 2.013 Ta
```

The density of states at the Fermi level is 0.5083 states/eV per atom. Its volume is 66.4 Å³/f.u. The value obtained for the uncorrected formation energy is -0.138 eV per formula unit. Its space group is Cmmm (65).

=====

Record 1
A plane-wave DFT calculation with GGA+U was carried out for crystalline CoNi2WO6 at its relaxed geometry.

Lattice parameters (Å, degrees): 5.1635 5.1635 14.0804 90.00 90.00 120.00
Space group R3 (No. 146, hexagonal axes)
Asymmetric unit:
Co (0.0000, 0.0000, 0.0000) (multiplicity 3)
Ni (0.0000, 0.0000, 0.2076) (multiplicity 3)
Ni (0.0000, 0.0000, 0.7083) (multiplicity 3)
W (0.0000, 0.0000, 0.5087) (multiplicity 3)
O (0.0001, 0.3578, 0.7745) (multiplicity 9)
O (0.0043, 0.7070, 0.6020) (multiplicity 9)

Results
Density of states at the Fermi level   0.0 states/eV/cell


Record 2
A plane-wave DFT calculation with GGA+U was carried out for crystalline ZnCo3Ni2O6 at its relaxed geometry.

Lattice parameters (Å, degrees): 15.3886 2.8732 5.7225 90.00 103.76 90.00
Space group C2/m (No. 12)
Asymmetric unit:
Zn (0.0000, 0.0000, 0.0000) (multiplicity 2)
Co (0.0000, 0.0000, 0.5000) (multiplicity 2)
Co (0.1678, 0.5000, 0.8252) (multiplicity 4)
Ni (0.1673, 0.5000, 0.3280) (multiplicity 4)
O (0.0299, 0.5000, 0.7805) (multiplicity 4)
O (0.1415, 0.0000, 0.5323) (multiplicity 4)
O (0.1919, 0.0000, 0.1197) (multiplicity 4)


Record 3
A plane-wave DFT calculation with GGA+U was carried out for crystalline Zn2CoNiO4 at its relaxed geometry.

Lattice parameters (Å, degrees): 6.0703 6.0949 8.6019 90.00 90.00 90.00
Space group F222 (No. 22)
Asymmetric unit:
Zn (0.0000, 0.0000, 0.0000) (multiplicity 4)
Zn (0.2500, 0.2500, 0.2500) (multiplicity 4)
Co (0.0000, 0.0000, 0.5000) (multiplicity 4)
Ni (0.2500, 0.2500, 0.7500) (multiplicity 4)
O (0.0000, 0.0000, 0.2519) (multiplicity 8)
O (0.2500, 0.2500, 0.5043) (multiplicity 8)


Number 1: calculated volume 325.1 Å³/cell, electronic total energy -6.1547 eV/atom. Number 2: calculated volume 245.8 Å³/cell, electronic total energy -5.1937 eV/atom. Number 3: calculated volume 318.3 Å³/cell, electronic total energy -4.9031 eV/atom.

=====

DFT (PBE) results for an optimized crystal structure of Cs2KTeI. Values from VASP.

Geometry as Quantum ESPRESSO input:
```
&SYSTEM
  ibrav = 0, nat = 5, ntyp = 4
/
ATOMIC_SPECIES
Cs 132.91 Cs.upf
K 39.10 K.upf
Te 127.60 Te.upf
I 126.90 I.upf
CELL_PARAMETERS angstrom
7.330 0.000 0.000
0.000 7.330 0.000
0.000 0.000 6.546
ATOMIC_POSITIONS crystal
Cs 0.000 0.500 0.000
Cs 0.500 0.000 0.000
K 0.000 0.000 0.500
Te 0.000 0.000 0.000
I 0.500 0.500 0.500
```

formation energy (no corrections)	-5.333	eV/f.u.
symmetry	P4/mmm (123)
DFT total energy	-12.8	eV for the cell shown
+++
**The entry goes on**
On August 31, Justice Sotomayor sat in the “Judge’s Chambers“ (named in honor of star rookie Aaron Judge) at Yankee Stadium.
On September 1, Judge Richard Posner, 78, announced his retirement from the Seventh Circuit, effective September 2. No time here for hot takes, yet one should recall that in July, Posner called for a mandatory retirement age of 80 for federal judges.
Finally, on September 12, the Judicial Conference of the U.S. will have its semi-annual meeting in Washington.